Kari Sutton

Inserted here: crystal structures:
-- begin --
Entry 1:
Theoretical powder X-ray diffraction pattern of MgMnO2 for copper Kα, from DFT lattice parameters and positions (PBE+U).
Kinematic intensities with the Lorentz-polarization factor, no thermal factor.

Principal peaks in the range 10° ≤ 2θ ≤ 80°, in order of falling intensity:
two_theta	I/Imax
48.5	1000
34.0	810
48.3	489
33.8	341
23.6	333
60.6	307
33.5	190
38.1	172
61.0	150
71.1	131

Crystal structure
```
data_MgMnO2
_cell_length_a 5.300
_cell_length_b 5.353
_cell_length_c 3.038
_cell_angle_alpha 90.00
_cell_angle_beta 90.00
_cell_angle_gamma 90.00
_symmetry_space_group_name_H-M 'P n n m'
_symmetry_Int_Tables_number 58
loop_
_symmetry_equiv_pos_as_xyz
'x,y,z'
'-x,-y,-z'
'-x,-y,z'
'x,y,-z'
'x+1/2,-y+1/2,-z+1/2'
'-x+1/2,y+1/2,z+1/2'
'-x+1/2,y+1/2,-z+1/2'
'x+1/2,-y+1/2,z+1/2'
loop_
_atom_site_label
_atom_site_type_symbol
_atom_site_fract_x
_atom_site_fract_y
_atom_site_fract_z
Mg1 Mg 0.000 0.000 0.000
Mn1 Mn 0.000 0.500 0.000
O1 O 0.164 0.235 0.500
```

---

Entry 2:
Theoretical powder X-ray diffraction pattern of K2MoP2O9 for copper Kα, from DFT lattice parameters and positions (PBE+U).
Kinematic intensities with the Lorentz-polarization factor, no thermal factor.

Principal peaks in the range 10° ≤ 2θ ≤ 80°, in order of falling intensity:
two_theta	I/Imax
12.5	1000
22.3	751
21.8	565
25.6	484
27.1	407
14.2	342
36.2	303
30.0	301
22.9	290
32.5	247

Crystal structure
```
data_K2MoP2O9
_cell_length_a 14.143
_cell_length_b 8.246
_cell_length_c 15.771
_cell_angle_alpha 90.00
_cell_angle_beta 100.05
_cell_angle_gamma 90.00
_symmetry_space_group_name_H-M 'C 1 2/c 1'
_symmetry_Int_Tables_number 15
loop_
_symmetry_equiv_pos_as_xyz
'x,y,z'
'-x,-y,-z'
'-x,y,-z+1/2'
'x,-y,z+1/2'
'x+1/2,y+1/2,z'
'-x+1/2,-y+1/2,-z'
'-x+1/2,y+1/2,-z+1/2'
'x+1/2,-y+1/2,z+1/2'
loop_
_atom_site_label
_atom_site_type_symbol
_atom_site_fract_x
_atom_site_fract_y
_atom_site_fract_z
K1 K 0.143 0.164 0.234
K2 K 0.150 0.071 0.969
Mo1 Mo 0.111 0.356 0.638
P1 P 0.040 0.309 0.423
P2 P 0.129 0.415 0.848
O1 O 0.033 0.160 0.367
O2 O 0.040 0.316 0.858
O3 O 0.050 0.414 0.087
O4 O 0.072 0.258 0.519
O5 O 0.120 0.478 0.753
O6 O 0.129 0.419 0.403
O7 O 0.140 0.170 0.687
O8 O 0.222 0.426 0.619
O9 O 0.223 0.332 0.881
```


This entry pairs a crystal structure of LuZnPt with its calculated PXRD pattern. Radiation: Cu Kα (λ = 1.5418 Å). Structure: the GGA-PBE geometry in the Materials Project.
Kinematic intensities with the Lorentz-polarization factor, no thermal factor.

Largest 10 diffraction maxima, sorted by position, 10 to 90 degrees two-theta:
Position (°2θ), d_spacing, I/Imax
25.8, 3.454, 23
27.4, 3.252, 24
33.7, 2.662, 40
35.9, 2.502, 100
36.1, 2.489, 19
40.0, 2.253, 31
42.3, 2.138, 26
43.3, 2.089, 35
46.1, 1.971, 25
65.1, 1.433, 18

Crystal structure
```
LuZnPt
1.0
6.786 0.000 0.000
0.000 4.178 0.000
0.000 0.000 8.027
Lu Zn Pt
4 4 4
Cartesian
0.212 1.044 1.463
3.181 3.133 5.477
3.605 1.044 2.550
6.574 3.133 6.564
0.979 1.044 4.514
2.414 3.133 0.500
4.371 1.044 7.526
5.807 3.133 3.513
-- stop --

Kari Sutton

The last weeks of summer are fast approaching, holidays have come and gone, and a whole new year is already underway. Transitioning back into the school routine can be a shock to the system after long lazy summer days and it’s easy to begin to feel stressed and anxious at the beginning of a new school year. However, there are things you can do at the beginning of the year to help your child have a positive, happy and successful 2021 school year.

There is no DNA that guarantees success, good organisation, or happiness. The potential for all of these things lies within each of our children, and what it looks like for each of them will be completely different. As adults who care for children we can support them to develop the skills they need to face the challenges that will come along the way.

What comes next are data records, not part of the text
'''
The following is a simulated XRD peak list of ZnCr. It was derived from a structure optimized by DFT (GGA-PBE), using Cu Kα (λ = 1.5418 Å).
No peak broadening, texture or thermal motion is included.

Principal peaks in the range 10 to 80 degrees two-theta, sorted by position:
| 2theta | I (rel.) |
| --- | --- |
| 21.62 | 3 |
| 36.21 | 2 |
| 42.56 | 100 |
| 44.06 | 22 |
| 52.14 | 26 |
| 57.08 | 1 |
| 58.30 | 1 |
| 70.59 | 20 |
| 76.85 | 8 |
| 79.99 | 13 |

Structure:
```
ZnCr
1.0
2.481 0.000 0.000
0.000 2.481 0.000
0.000 0.000 4.111
Zn Cr
1 1
direct
0.000 0.000 0.000 Zn
0.500 0.500 0.500 Cr
```

The following is a simulated XRD peak list of ZnCr3. It was derived from a structure optimized by DFT (GGA-PBE), using Cu Kα (λ = 1.5418 Å).
No peak broadening, texture or thermal motion is included.

Principal peaks in the range 10 to 80 degrees two-theta, sorted by position:
| 2theta | I (rel.) |
| --- | --- |
| 19.68 | 1 |
| 29.06 | 5 |
| 34.43 | 1 |
| 39.97 | 25 |
| 43.10 | 28 |
| 45.66 | 100 |
| 53.76 | 3 |
| 56.29 | 1 |
| 60.23 | 13 |
| 65.99 | 2 |
| 71.26 | 2 |
| 72.60 | 13 |

Structure:
```
ZnCr3
1.0
5.209 0.000 0.000
-2.605 4.511 0.000
0.000 0.000 4.198
Zn Cr
2 6
direct
0.333 0.667 0.250 Zn
0.667 0.333 0.750 Zn
0.153 0.306 0.750 Cr
0.153 0.847 0.750 Cr
0.306 0.153 0.250 Cr
0.694 0.847 0.750 Cr
0.847 0.153 0.250 Cr
0.847 0.694 0.250 Cr
```

The following is a simulated XRD peak list of Zn3Cr. It was derived from a structure optimized by DFT (GGA-PBE), using Cu Kα (λ = 1.5418 Å).
No peak broadening, texture or thermal motion is included.

Principal peaks in the range 10 to 80 degrees two-theta, sorted by position:
| 2theta | I (rel.) |
| --- | --- |
| 28.09 | 2 |
| 35.80 | 1 |
| 41.80 | 26 |
| 42.22 | 100 |
| 44.12 | 22 |
| 45.40 | 1 |
| 60.07 | 8 |
| 62.40 | 15 |
| 75.86 | 7 |
| 76.61 | 15 |
| 77.48 | 7 |
| 79.85 | 14 |

Structure:
```
Zn3Cr
1.0
4.322 -3.080 0.000
4.322 3.080 0.000
0.000 0.000 4.105
Zn Cr
6 2
direct
0.122 0.384 0.750 Zn
0.125 0.875 0.750 Zn
0.384 0.122 0.250 Zn
0.616 0.878 0.750 Zn
0.875 0.125 0.250 Zn
0.878 0.616 0.250 Zn
0.402 0.598 0.250 Cr
0.598 0.402 0.750 Cr
```

The following is a simulated XRD peak list of Zn4Cr5. It was derived from a structure optimized by DFT (GGA-PBE), using Cu Kα (λ = 1.5418 Å).
No peak broadening, texture or thermal motion is included.

Principal peaks in the range 10 to 80 degrees two-theta, sorted by position:
| 2theta | I (rel.) |
| --- | --- |
| 14.83 | 2 |
| 29.92 | 1 |
| 30.20 | 1 |
| 37.10 | 1 |
| 43.03 | 100 |
| 45.56 | 42 |
| 58.42 | 9 |
| 62.33 | 1 |
| 66.41 | 12 |
| 77.06 | 15 |

Structure:
```
Zn4Cr5
1.0
-4.223 4.223 1.580
4.223 -4.223 1.580
4.223 4.223 -1.580
Zn Cr
4 5
direct
0.000 0.329 0.329 Zn
0.000 0.671 0.671 Zn
0.329 0.000 0.329 Zn
0.671 0.000 0.671 Zn
0.000 0.000 0.000 Cr
0.329 0.329 0.659 Cr
0.329 0.671 0.000 Cr
0.671 0.329 0.000 Cr
0.671 0.671 0.341 Cr
```
'''

Our lives, both adults and children’s, are based on the habits we develop. These repeated patterns of behaviour or thought become embedded like the operating system of our computer and control everything we do daily. Parents and other adults who care for children can help them have a successful year by supporting the children they care for develop good habits early, as these habits lay a strong foundation for how the rest of the year will unfold.  There are a number of positive habits that can help children be successful both at school and in life.

Being organised and having routines provides children with consistency and comfort, helping them to feel secure, safe and reduce anxiety. In childhood they can develop routines and habits that will stand them in good stead for the rest of their lives. Being organised and following routines does not mean that there is no room for flexibility – life happens, and things sometimes change, this is ok and can be a great lesson for children in how to adapt and be flexible.

Some practical ways to set up routines and keep organised

  • Draw up a family calendar with all the important dates on it – you can colour code it for each member of the family. Have it in a place that is easily accessible and where everyone can refer to it.
  • Plan routines for the busiest times in the day e.g. mornings/ after school, as this way everyone will know what they are supposed to be doing.
  • Have checklists – these will help children organise themselves, e.g. checklist for what they need to take to school each day, checklist for getting homework done.
  • Make it a habit to get ready for the next day the night before – setting out clothes, making lunches, packing bags.
  • Use containers to help children keep organised, if everything has its place it will be easier to keep clean and tidy.
  • Plan to have at least one meal each day together as a family, it could be breakfast or dinner. This is a time to connect with each other, talk about plans for the day, or how the day went. Switch off the TV and phones and devices don’t get used – it’s family time.
  • Have bedtime rituals – this way children will have activities they associate with getting sleepy and getting ready for bed e.g. bedtime stories, quiet music, mindfulness activities.
  • Turn tasks/ chores into a game by challenging children to finish a before the alarm on a kitchen timer or your phone goes off. This works just as well with songs – have them clean their room before their favourite song finishes and see just how quickly things get done.
  • Make a Bingo style game of morning routines – have a bingo card and the kids get to cross the tasks e.g. breakfast, getting dressed, brushing teeth, off as they go. When the Bingo card is completed they get a reward if there is time left before leaving the house.

**What comes next are materials data, not part of the article**
<<<
No. 1
# KGaSe2O6
Computed powder diffraction line list, Cu Kα. Input: a DFT-relaxed cell (GGA-PBE, Alexandria).

Main lines, by intensity (10 to 90 degrees two-theta):
31.2 deg, I = 100.0; 13.1 deg, I = 85.3; 26.9 deg, I = 84.5; 16.6 deg, I = 81.9; 33.1 deg, I = 55.1; 29.5 deg, I = 43.9; 23.4 deg, I = 39.5; 36.0 deg, I = 37.4; 39.3 deg, I = 35.4; 39.9 deg, I = 31.2

Cell and atoms:
```
KGaSe2O6
1.0
15.166 0.000 0.000
0.000 5.415 0.000
0.000 0.000 7.552
K Ga Se O
4 4 8 24
Direct
0.109 0.250 0.067
0.391 0.750 0.567
0.609 0.250 0.433
0.891 0.750 0.933
0.129 0.750 0.687
0.371 0.250 0.187
0.629 0.750 0.813
0.871 0.250 0.313
0.024 0.250 0.613
0.225 0.250 0.492
0.275 0.750 0.992
0.476 0.750 0.113
0.524 0.250 0.887
0.725 0.250 0.008
0.775 0.750 0.508
0.976 0.750 0.387
0.034 0.003 0.758
0.034 0.497 0.758
0.089 0.750 0.430
0.163 0.750 0.942
0.223 0.004 0.639
0.223 0.496 0.639
0.277 0.504 0.139
0.277 0.996 0.139
0.337 0.250 0.442
0.411 0.250 0.930
0.466 0.503 0.258
0.466 0.997 0.258
0.534 0.003 0.742
0.534 0.497 0.742
0.589 0.750 0.070
0.663 0.750 0.558
0.723 0.004 0.861
0.723 0.496 0.861
0.777 0.504 0.361
0.777 0.996 0.361
0.837 0.250 0.058
0.911 0.250 0.570
0.966 0.503 0.242
0.966 0.997 0.242
```

=====

No. 2
# KGa3Se4O12
Computed powder diffraction line list, Cu Kα. Input: a DFT-relaxed cell (GGA-PBE, Alexandria).

Main lines, by intensity (10 to 90 degrees two-theta):
29.2 deg, I = 100.0; 37.0 deg, I = 51.8; 28.0 deg, I = 40.4; 48.7 deg, I = 37.3; 63.4 deg, I = 24.4; 54.9 deg, I = 18.6; 68.8 deg, I = 14.3; 62.7 deg, I = 12.9; 33.9 deg, I = 11.8; 14.5 deg, I = 9.5

Cell and atoms:
```
KGa3Se4O12
1.0
5.293 3.056 2.729
-5.293 3.056 2.729
0.000 -6.112 2.729
K Ga Se O
1 3 4 12
Direct
0.000 0.000 0.000
0.000 0.566 0.434
0.434 0.000 0.566
0.566 0.434 0.000
0.097 0.500 0.903
0.500 0.500 0.500
0.500 0.903 0.097
0.903 0.097 0.500
0.066 0.934 0.500
0.067 0.294 0.395
0.294 0.395 0.067
0.306 0.694 0.500
0.395 0.067 0.294
0.500 0.066 0.934
0.500 0.306 0.694
0.605 0.706 0.933
0.694 0.500 0.306
0.706 0.933 0.605
0.933 0.605 0.706
0.934 0.500 0.066
```

=====

No. 3
# KGaSiO4
Computed powder diffraction line list, Cu Kα. Input: a DFT-relaxed cell (GGA-PBE, Alexandria).

Main lines, by intensity (10 to 90 degrees two-theta):
10.8 deg, I = 100.0; 19.8 deg, I = 78.0; 20.5 deg, I = 75.2; 31.9 deg, I = 60.1; 32.9 deg, I = 57.6; 33.3 deg, I = 47.5; 21.8 deg, I = 47.4; 23.7 deg, I = 34.9; 16.9 deg, I = 33.8; 40.2 deg, I = 28.3

Cell and atoms:
```
KGaSiO4
1.0
5.249 0.000 0.000
0.000 5.373 0.000
-0.328 0.000 8.168
K Ga Si O
2 2 2 8
Direct
0.242 0.250 0.002
0.758 0.750 0.998
0.133 0.250 0.520
0.867 0.750 0.480
0.294 0.750 0.282
0.706 0.250 0.718
0.125 0.521 0.369
0.125 0.979 0.369
0.259 0.750 0.088
0.408 0.250 0.660
0.592 0.750 0.340
0.741 0.250 0.912
0.875 0.021 0.631
0.875 0.479 0.631
```

=====

No. 4
# K3TmGa2O6
Computed powder diffraction line list, Cu Kα. Input: a DFT-relaxed cell (GGA-PBE, Alexandria).

Main lines, by intensity (10 to 90 degrees two-theta):
>>>


Another crucial component of functioning well is sleep. Every living thing on the planet needs sleep to survive, and it is especially important for children’s growing bodies. The amount of sleep they get has a direct impact on their ability to concentrate at school and on their academic performance.

Children benefit from having routines that get them ready for bed as well as a consistent bedtime that allows for enough sleep (they need anywhere between 10-11 hours each night). Bedtime routines that calm children and provide comfort will help them settle and it is a good idea to stay away from computers, iPads, phones and other screens an hour before bedtime so that the brain has time to wind down.


These strategies and ideas will build upon and support each other creating a strong foundation that provides the scaffolding and support for your child to have a successful school year.